Quote the whole of the data further down verbatim, please.
********
Record 1
Density functional theory data (PBE) for an optimized crystal structure of Tb3HoRh4.

Values from the calculation:
Total magnetization: 0.00 μB/f.u.
ΔH_f (0 K): -0.858 eV per atom
N(E_F): 0.555 states/eV per atom
Symmetry: P4/mmm, No. 123

abc: 4.891 4.891 6.767
angles: 90.00 90.00 90.00
Fractional positions:
Tb1 0.000 0.000 0.000
Tb2 0.000 0.000 0.500
Tb3 0.500 0.500 0.000
Ho1 0.500 0.500 0.500
Rh1 0.000 0.500 0.251
Rh2 0.000 0.500 0.749
Rh3 0.500 0.000 0.251
Rh4 0.500 0.000 0.749

***

Record 2
Density functional theory data (PBE) for an optimized crystal structure of LaGa3PtAu.

Values from the calculation:
Total magnetization: 0.00 μB/f.u.
ΔH_f (0 K): -0.473 eV per atom
N(E_F): 0.521 states/eV per atom
Symmetry: Cmcm, No. 63

abc: 7.790 7.790 6.116
angles: 90.00 90.00 129.91
Fractional positions:
La1 0.182 0.818 0.750
La2 0.818 0.182 0.250
Ga1 0.215 0.785 0.250
Ga2 0.291 0.291 0.000
Ga3 0.291 0.291 0.500
Ga4 0.709 0.709 0.000
Ga5 0.709 0.709 0.500
Ga6 0.785 0.215 0.750
Pt1 0.046 0.954 0.250
Pt2 0.954 0.046 0.750
Au1 0.385 0.615 0.250
Au2 0.615 0.385 0.750

* * * * *

! LaSnGe (GGA-PBE, optimized geometry); values from VASP
&SYSTEM
  ibrav = 0, nat = 3, ntyp = 3
/
ATOMIC_SPECIES
La 138.91 La.upf
Sn 118.71 Sn.upf
Ge 72.64 Ge.upf
ATOMIC_POSITIONS crystal
La 0.000 0.000 0.000
Sn 0.667 0.333 0.500
Ge 0.333 0.667 0.500
CELL_PARAMETERS angstrom
4.759 0.000 0.000
-2.380 4.122 0.000
0.000 0.000 4.215
! **ΔH_f (0 K)**: -564 meV per atom
! **SG**: P-6m2 (187)
! **D(E_F)**: 2.2 states/eV per cell

* * * * *

--- 1 ---
Below is crystalline Rb2AgCl at its relaxed geometry, with properties calculated at the GGA-PBE level.

Cell lengths 4.103, 4.103, 8.517 Å; angles 90.00, 90.00, 90.00 degrees
Space group P4/mmm (No. 123)
Inequivalent atoms, fractional coordinates:
Rb (0.000, 0.000, 0.229) [2 per cell]
Ag (0.500, 0.500, 0.500) [1 per cell]
Cl (0.500, 0.500, 0.000) [1 per cell]

Computed properties:
- Size of the total moment: 0.000 μB/f.u.


--- 2 ---
Below is crystalline Rb2AgCl at its relaxed geometry, with properties calculated at the GGA-PBE level.

Cell lengths 8.403, 8.403, 8.403 Å; angles 90.00, 90.00, 90.00 degrees
Space group Fm-3m (No. 225)
Inequivalent atoms, fractional coordinates:
Rb (0.250, 0.250, 0.250) [8 per cell]
Ag (0.000, 0.000, 0.000) [4 per cell]
Cl (0.000, 0.000, 0.500) [4 per cell]

Computed properties:
- Size of the total moment: 0.000 μB/f.u.


--- 3 ---
Below is crystalline Rb2AgCl at its relaxed geometry, with properties calculated at the GGA-PBE level.

Cell lengths 4.7927, 4.7927, 25.8112 Å; angles 90.00, 90.00, 120.00 degrees
Space group R3m (No. 160, hexagonal axes)
Inequivalent atoms, fractional coordinates:
Rb (0.0000, 0.0000, 0.0000) [3 per cell]
Rb (0.0000, 0.0000, 0.1836) [3 per cell]
Ag (0.0000, 0.0000, 0.4245) [3 per cell]
Cl (0.0000, 0.0000, 0.5920) [3 per cell]

Computed properties:
- Size of the total moment: 0.000 μB/f.u.


Winner for stability: 3


--- 1 ---
Below is crystalline Rb2AgCl at its relaxed geometry, with properties calculated at the GGA-PBE level.

Cell lengths 4.8734, 4.8734, 25.0356 Å; angles 90.00, 90.00, 120.00 degrees
Space group R-3m (No. 166, hexagonal axes)
Inequivalent atoms, fractional coordinates:
Rb (0.0000, 0.0000, 0.2417) [6 per cell]
Ag (0.0000, 0.0000, 0.0000) [3 per cell]
Cl (0.0000, 0.0000, 0.5000) [3 per cell]

Computed properties:
- Size of the total moment: 0.000 μB/f.u.


--- 2 ---
Below is crystalline Rb2AgCl at its relaxed geometry, with properties calculated at the GGA-PBE level.

Cell lengths 8.863, 8.863, 10.103 Å; angles 90.00, 90.00, 90.00 degrees
Space group I-42d (No. 122)
Inequivalent atoms, fractional coordinates:
Rb (0.215, 0.250, 0.125) [8 per cell]
Ag (0.000, 0.000, 0.500) [4 per cell]
Cl (0.000, 0.000, 0.000) [4 per cell]

Computed properties:
- Size of the total moment: 0.000 μB/f.u.


Winner for stability: 1


--- 1 ---
Below is crystalline Rb2SmAgCl6 at its relaxed geometry, with properties calculated at the GGA-PBE level.
********
Record 1
Density functional theory data (PBE) for an optimized crystal structure of Tb3HoRh4.

Values from the calculation:
Total magnetization: 0.00 μB/f.u.
ΔH_f (0 K): -0.858 eV per atom
N(E_F): 0.555 states/eV per atom
Symmetry: P4/mmm, No. 123

abc: 4.891 4.891 6.767
angles: 90.00 90.00 90.00
Fractional positions:
Tb1 0.000 0.000 0.000
Tb2 0.000 0.000 0.500
Tb3 0.500 0.500 0.000
Ho1 0.500 0.500 0.500
Rh1 0.000 0.500 0.251
Rh2 0.000 0.500 0.749
Rh3 0.500 0.000 0.251
Rh4 0.500 0.000 0.749

***

Record 2
Density functional theory data (PBE) for an optimized crystal structure of LaGa3PtAu.

Values from the calculation:
Total magnetization: 0.00 μB/f.u.
ΔH_f (0 K): -0.473 eV per atom
N(E_F): 0.521 states/eV per atom
Symmetry: Cmcm, No. 63

abc: 7.790 7.790 6.116
angles: 90.00 90.00 129.91
Fractional positions:
La1 0.182 0.818 0.750
La2 0.818 0.182 0.250
Ga1 0.215 0.785 0.250
Ga2 0.291 0.291 0.000
Ga3 0.291 0.291 0.500
Ga4 0.709 0.709 0.000
Ga5 0.709 0.709 0.500
Ga6 0.785 0.215 0.750
Pt1 0.046 0.954 0.250
Pt2 0.954 0.046 0.750
Au1 0.385 0.615 0.250
Au2 0.615 0.385 0.750

* * * * *

! LaSnGe (GGA-PBE, optimized geometry); values from VASP
&SYSTEM
  ibrav = 0, nat = 3, ntyp = 3
/
ATOMIC_SPECIES
La 138.91 La.upf
Sn 118.71 Sn.upf
Ge 72.64 Ge.upf
ATOMIC_POSITIONS crystal
La 0.000 0.000 0.000
Sn 0.667 0.333 0.500
Ge 0.333 0.667 0.500
CELL_PARAMETERS angstrom
4.759 0.000 0.000
-2.380 4.122 0.000
0.000 0.000 4.215
! **ΔH_f (0 K)**: -564 meV per atom
! **SG**: P-6m2 (187)
! **D(E_F)**: 2.2 states/eV per cell

* * * * *

--- 1 ---
Below is crystalline Rb2AgCl at its relaxed geometry, with properties calculated at the GGA-PBE level.

Cell lengths 4.103, 4.103, 8.517 Å; angles 90.00, 90.00, 90.00 degrees
Space group P4/mmm (No. 123)
Inequivalent atoms, fractional coordinates:
Rb (0.000, 0.000, 0.229) [2 per cell]
Ag (0.500, 0.500, 0.500) [1 per cell]
Cl (0.500, 0.500, 0.000) [1 per cell]

Computed properties:
- Size of the total moment: 0.000 μB/f.u.


--- 2 ---
Below is crystalline Rb2AgCl at its relaxed geometry, with properties calculated at the GGA-PBE level.

Cell lengths 8.403, 8.403, 8.403 Å; angles 90.00, 90.00, 90.00 degrees
Space group Fm-3m (No. 225)
Inequivalent atoms, fractional coordinates:
Rb (0.250, 0.250, 0.250) [8 per cell]
Ag (0.000, 0.000, 0.000) [4 per cell]
Cl (0.000, 0.000, 0.500) [4 per cell]

Computed properties:
- Size of the total moment: 0.000 μB/f.u.


--- 3 ---
Below is crystalline Rb2AgCl at its relaxed geometry, with properties calculated at the GGA-PBE level.

Cell lengths 4.7927, 4.7927, 25.8112 Å; angles 90.00, 90.00, 120.00 degrees
Space group R3m (No. 160, hexagonal axes)
Inequivalent atoms, fractional coordinates:
Rb (0.0000, 0.0000, 0.0000) [3 per cell]
Rb (0.0000, 0.0000, 0.1836) [3 per cell]
Ag (0.0000, 0.0000, 0.4245) [3 per cell]
Cl (0.0000, 0.0000, 0.5920) [3 per cell]

Computed properties:
- Size of the total moment: 0.000 μB/f.u.


Winner for stability: 3


--- 1 ---
Below is crystalline Rb2AgCl at its relaxed geometry, with properties calculated at the GGA-PBE level.

Cell lengths 4.8734, 4.8734, 25.0356 Å; angles 90.00, 90.00, 120.00 degrees
Space group R-3m (No. 166, hexagonal axes)
Inequivalent atoms, fractional coordinates:
Rb (0.0000, 0.0000, 0.2417) [6 per cell]
Ag (0.0000, 0.0000, 0.0000) [3 per cell]
Cl (0.0000, 0.0000, 0.5000) [3 per cell]

Computed properties:
- Size of the total moment: 0.000 μB/f.u.


--- 2 ---
Below is crystalline Rb2AgCl at its relaxed geometry, with properties calculated at the GGA-PBE level.

Cell lengths 8.863, 8.863, 10.103 Å; angles 90.00, 90.00, 90.00 degrees
Space group I-42d (No. 122)
Inequivalent atoms, fractional coordinates:
Rb (0.215, 0.250, 0.125) [8 per cell]
Ag (0.000, 0.000, 0.500) [4 per cell]
Cl (0.000, 0.000, 0.000) [4 per cell]

Computed properties:
- Size of the total moment: 0.000 μB/f.u.


Winner for stability: 1


--- 1 ---
Below is crystalline Rb2SmAgCl6 at its relaxed geometry, with properties calculated at the GGA-PBE level.